5 Best Closing Sales Tactics

When it comes to closing sales, people are trying to think of unique and out-of-the-box ideas that they can use in order to close the sale.

You don’t need to think that hard in order to get that sale.

We’re going to look into five of the best ways you can close a sale!

5 Best Tactics To Use When Closing A Sale

#1 – Ask for the sale

Let’s not beat around the bush.

If you want to make a sale, ask for it.

You have worked this hard to get to the end of the sales process. You don’t want to spend more time-wasting to see if they’re ready to close.

A lot of salespeople get scared to directly ask for the sale.

But you need to be direct and ask for it so that way either you get the sale, move onto a different tactic, or move onto a new client.

For example, you can straight up say after the sales process “is it going to be Visa, Master Card, or American Express?”

#2 – Soft Approach

This is something that most salespeople do. But they don’t do it in the right way.

A soft approach is a way to get them to close without being too pushy.

But just because you’re not being pushy doesn’t mean you cannot be direct.

In this approach, most salespeople would ask if they have any more questions or if they’re ready to make a decision, or if they would like to see demos of anything else.

Depending on the type of client you are selling to, this approach might be a better way to close the sale.

Materials data that have nothing to do with the text:
- - -
Entry 1:
Crystalline ZrOsW2 at its relaxed geometry. Source: the Alexandria database, functional PBE-GGA.

Cell lengths 2.8296, 2.8296, 29.6002 Å; angles 90.00, 90.00, 120.00 degrees
Space group R-3m (No. 166, hexagonal axes)
Symmetry-distinct sites (fractional):
1 Zr 0.0000 0.0000 0.0000 [3 per cell]
2 Os 0.0000 0.0000 0.5000 [3 per cell]
3 W 0.0000 0.0000 0.2422 [6 per cell]

Properties
The value obtained for the excess energy over the best structure of this formula in the dataset is 1.558 eV per formula unit. For the formation energy, the calculation gives 326 meV per atom. Its crystal system is trigonal. The calculated volume comes out at 205.25 Å³ per cell. The energy comes out at -0.4078 hartree per atom.


Entry 2:
Crystalline ZrOsW2 at its relaxed geometry. Source: the Alexandria database, functional PBE-GGA.

Cell lengths 7.503, 7.503, 5.358 Å; angles 90.00, 90.00, 90.00 degrees
Space group I-42d (No. 122)
Symmetry-distinct sites (fractional):
1 Zr 0.000 0.000 0.000 [4 per cell]
2 Os 0.000 0.000 0.500 [4 per cell]
3 W 0.212 0.250 0.625 [8 per cell]

Properties
The value obtained for the excess energy over the best structure of this formula in the dataset is 2.889 eV per formula unit. For the formation energy, the calculation gives 658 meV per atom. Its crystal system is tetragonal. The calculated volume comes out at 301.69 Å³ per cell. The energy comes out at -0.3955 hartree per atom.


Entry 3:
Crystalline ZrOs2W at its relaxed geometry. Source: the Alexandria database, functional PBE-GGA.

Cell lengths 9.804, 2.887, 4.785 Å; angles 90.00, 100.97, 90.00 degrees
Space group Cm (No. 8)
Symmetry-distinct sites (fractional):
1 Zr 0.000 0.000 0.000 [2 per cell]
2 Os 0.020 0.500 0.505 [2 per cell]
3 Os 0.238 0.000 0.786 [2 per cell]
4 W 0.279 0.500 0.325 [2 per cell]

Properties
For the formation energy, the calculation gives 53 meV per atom. Its crystal system is monoclinic. The calculated volume comes out at 132.98 Å³ per cell. The energy comes out at -0.4019 hartree per atom.


Entry 4:
Crystalline Y2Os at its relaxed geometry. Source: the Alexandria database, functional PBE-GGA.

Cell lengths 8.180, 8.180, 8.180 Å; angles 90.00, 90.00, 90.00 degrees
Space group Fd-3m (No. 227, origin choice 2)
Symmetry-distinct sites (fractional):
1 Y 0.000 0.000 0.000 [16 per cell]
2 Os 0.125 0.125 0.625 [8 per cell]

Properties
For the formation energy, the calculation gives 1167 meV per atom. Its crystal system is cubic. The calculated volume comes out at 547.32 Å³ per cell. The energy comes out at -0.2531 hartree per atom.


Entry 5:
Crystalline Y2Os at its relaxed geometry. Source: the Alexandria database, functional PBE-GGA.

Cell lengths 7.6617, 7.6617, 4.2518 Å; angles 90.00, 90.00, 120.00 degrees
Space group P-62m (No. 189)
Symmetry-distinct sites (fractional):
1 Y 0.0000 0.2570 0.0000 [3 per cell]
2 Y 0.0000 0.5896 0.5000 [3 per cell]
3 Os 0.0000 0.0000 0.5000 [1 per cell]
4 Os 0.3333 0.6667 0.0000 [2 per cell]

Properties
- - -
The text goes on:

#3 – The Trial

The best way to get anybody to close on a sale is to let them try your product or service for free for a certain amount of days.

Sometimes during a sales pitch or process, the client doesn’t understand exactly how this product or service would help them.

But if you could offer them a trial and let them test it out, they will understand the power of your product or service and be more willing to buy.

#4 – Use Social Proof

Before you buy anything, what do you do?

You read the reviews.

These days people do not buy anything without reading reviews.

Now, if you are selling and you want that person to be ready to purchase, send them social proof.

For example, let’s say you’re selling digital marketing services to dentists. You could send them results that other dentists got using your product or service. If you can show great results for someone that’s around the same location as them, this would be even better.

If a client thinks their colleague is using your service and improving their business, why wouldn’t they want to do the same?

#5 – Disconnect

This tactic might sound a little bit odd.

But most salespeople get too pushy or make the wholesale process about them.

Sometimes during your sales process, the client that you are selling to hasn’t had time to process everything.

Sometimes you need to just disconnect and step back so that way they can go over everything that you have presented to them.

But disconnecting does not mean forgetting about the client completely.

You want to give them a few days or maybe a week or so for them to look over everything and think.

But you also want to keep following up and making sure that you do not lose out on the sale.

Sometimes when you disconnect and go away, that person wants you even more.